## Listing
(1)
90
Properties=species:S:1:pos:R:3 method="wB97M-V/def2-TZVPD" homo_ev=-9.3852 max_force_ev_per_a=4.0 energy_ev=-120185.68579 gap_ev=9.173 smiles="C[N+](=O)[O-].C[N+](=O)[O-].C1CCOC1.C1CCOC1.C1CCOC1.C1CCOC1.ClCCCl.ClCCCl.ClCCCl"
Cl -3.45923 3.59685 -2.23557
C -2.17707 3.74906 -1.00186
C -2.72533 4.78829 -0.04246
Cl -1.57464 4.85679 1.28968
H -1.26951 4.04686 -1.52699
H -2.05257 2.85653 -0.38866
H -3.70610 4.53333 0.35902
H -2.75669 5.76807 -0.51906
Cl 4.11427 5.96577 -2.17638
C 3.40105 4.44888 -2.78495
C 2.13661 4.19612 -2.03634
Cl 0.99795 5.59452 -2.08544
H 4.13621 3.66558 -2.60029
H 3.25104 4.53632 -3.86104
H 2.52479 3.92605 -1.05426
H 1.61513 3.29804 -2.36742
Cl 3.69987 0.62056 2.32688
C 4.39288 2.17336 1.69561
C 5.89206 2.10246 1.49406
Cl 6.41590 3.60588 0.65798
H 4.05909 2.86457 2.46950
H 3.86248 2.36823 0.76351
H 6.04673 1.33535 0.73529
H 6.47986 1.97759 2.40346
C 0.44749 -4.42540 -0.41234
N -0.88009 -4.74337 -0.94127
O -1.86389 -4.29764 -0.39011
O -0.94117 -5.54275 -1.83847
H 0.28023 -3.62813 0.31187
H 0.96246 -4.15680 -1.33471
H 0.80486 -5.33711 0.06637
C 0.67885 -0.13299 0.41269
N 1.09733 0.79175 -0.63590
O 0.17774 1.48976 -1.16220
O 2.25364 0.85977 -0.93415
H -0.40157 -0.05522 0.53413
H 1.31471 0.21505 1.22673
H 0.83569 -1.15635 0.07175
C 0.62789 -1.14552 -4.28631
C 1.56898 -1.71602 -3.22753
C 2.96134 -1.26495 -3.68981
O 2.79437 -1.33039 -5.12733
C 1.40352 -1.41889 -5.56141
H 0.59759 -0.06081 -4.18335
H -0.39624 -1.51858 -4.27640
H 1.55974 -2.80490 -3.17903
H 1.36221 -1.35316 -2.22071
H 3.71050 -1.95319 -3.29843
H 3.13798 -0.27621 -3.26639
H 1.22244 -2.45766 -5.83758
H 1.18056 -0.69713 -6.34719
C -2.75328 -0.76975 -1.15326
C -4.00516 -1.61189 -0.95695
C -4.33265 -2.10647 -2.35650
O -3.47159 -1.32843 -3.20637
C -2.78014 -0.29586 -2.56655
H -1.85433 -1.38220 -1.08336
H -2.70355 0.09068 -0.48596
H -4.78525 -0.94786 -0.58460
H -3.86757 -2.36484 -0.18092
H -5.40663 -1.98659 -2.49899
H -4.17817 -3.18454 -2.40132
H -3.42309 0.58103 -2.64253
H -1.80900 -0.16986 -3.04520
C -2.81608 -4.46301 3.01214
C -3.40342 -3.07204 3.18446
C -2.20684 -2.17504 2.99294
O -1.07435 -2.99849 2.98365
C -1.37106 -4.32280 3.46906
H -2.75866 -4.76189 1.96549
H -3.38097 -5.23251 3.53833
H -3.73017 -2.87059 4.20463
H -4.19069 -2.85227 2.46334
H -2.23664 -1.36436 3.72094
H -2.36291 -1.72556 2.01227
H -1.21060 -4.39501 4.54477
H -0.72627 -5.06015 2.99089
C 1.00408 1.18622 4.85416
C 1.20075 2.55974 4.21260
C 0.26433 2.51692 2.96288
O -0.10816 1.15346 2.78243
C -0.11431 0.53127 4.04802
H 0.76517 1.41304 5.89318
H 1.87235 0.53247 4.77160
H 2.27586 2.67881 4.07819
H 0.76369 3.33358 4.84366
H 0.78150 2.90858 2.08697
H -0.63111 3.12206 3.10469
H 0.05461 -0.53914 3.93067
H -1.09161 0.61506 4.52338

=====

(2)
87
Properties=species:S:1:pos:R:3 method="wB97M-V/def2-TZVPD" homo_ev=-6.5631 max_force_ev_per_a=3.2 energy_ev=-92397.51951 gap_ev=6.700
K 7.65791 -4.03539 24.42608
C 10.67912 -2.83516 24.16088
C 10.79858 -3.24959 25.62492
C 11.90435 -2.43932 26.27940
O 9.59685 -3.19807 26.32032
H 10.32427 -1.79743 24.07733
H 10.06902 -3.52201 23.57556
H 11.64036 -2.72214 23.64204
H 11.21095 -4.28129 25.52008
H 11.68668 -1.38031 26.07484
H 12.90544 -2.59666 25.86283
H 11.96409 -2.55942 27.36032
C 9.02372 -8.72224 21.62303
C 8.48868 -8.59785 20.19754
C 7.28776 -7.61448 20.20654
S 6.91039 -7.23156 21.95690
O 5.47338 -7.42664 22.08152
O 7.55973 -5.99212 22.27088
C 7.82091 -8.68203 22.56467
H 9.66699 -7.87891 21.88139
H 9.58224 -9.64051 21.80169
H 8.15518 -9.54776 19.78539
H 9.28193 -8.21179 19.55833
H 6.40357 -8.09334 19.79802
H 7.44685 -6.65182 19.72653
H 7.12365 -9.49479 22.35475
H 7.98062 -8.61330 23.63786
C 9.57366 -6.63031 27.21236
C 9.36114 -8.09347 26.78848
C 7.87088 -8.47986 26.78547
S 6.99720 -6.91268 27.03610
O 5.82846 -7.06898 27.87749
O 6.88136 -6.29036 25.72617
C 8.35612 -6.13303 27.99160
H 9.58906 -5.96942 26.33406
H 10.52262 -6.36919 27.67605
H 9.90135 -8.74375 27.47470
H 9.75140 -8.16616 25.77398
H 7.59623 -9.00348 27.70140
H 7.49466 -8.99339 25.90912
## Work order
The reader should restate the lines further up up to the one that holds "2.08697", that line included.
## Worked solution
(1)
90
Properties=species:S:1:pos:R:3 method="wB97M-V/def2-TZVPD" homo_ev=-9.3852 max_force_ev_per_a=4.0 energy_ev=-120185.68579 gap_ev=9.173 smiles="C[N+](=O)[O-].C[N+](=O)[O-].C1CCOC1.C1CCOC1.C1CCOC1.C1CCOC1.ClCCCl.ClCCCl.ClCCCl"
Cl -3.45923 3.59685 -2.23557
C -2.17707 3.74906 -1.00186
C -2.72533 4.78829 -0.04246
Cl -1.57464 4.85679 1.28968
H -1.26951 4.04686 -1.52699
H -2.05257 2.85653 -0.38866
H -3.70610 4.53333 0.35902
H -2.75669 5.76807 -0.51906
Cl 4.11427 5.96577 -2.17638
C 3.40105 4.44888 -2.78495
C 2.13661 4.19612 -2.03634
Cl 0.99795 5.59452 -2.08544
H 4.13621 3.66558 -2.60029
H 3.25104 4.53632 -3.86104
H 2.52479 3.92605 -1.05426
H 1.61513 3.29804 -2.36742
Cl 3.69987 0.62056 2.32688
C 4.39288 2.17336 1.69561
C 5.89206 2.10246 1.49406
Cl 6.41590 3.60588 0.65798
H 4.05909 2.86457 2.46950
H 3.86248 2.36823 0.76351
H 6.04673 1.33535 0.73529
H 6.47986 1.97759 2.40346
C 0.44749 -4.42540 -0.41234
N -0.88009 -4.74337 -0.94127
O -1.86389 -4.29764 -0.39011
O -0.94117 -5.54275 -1.83847
H 0.28023 -3.62813 0.31187
H 0.96246 -4.15680 -1.33471
H 0.80486 -5.33711 0.06637
C 0.67885 -0.13299 0.41269
N 1.09733 0.79175 -0.63590
O 0.17774 1.48976 -1.16220
O 2.25364 0.85977 -0.93415
H -0.40157 -0.05522 0.53413
H 1.31471 0.21505 1.22673
H 0.83569 -1.15635 0.07175
C 0.62789 -1.14552 -4.28631
C 1.56898 -1.71602 -3.22753
C 2.96134 -1.26495 -3.68981
O 2.79437 -1.33039 -5.12733
C 1.40352 -1.41889 -5.56141
H 0.59759 -0.06081 -4.18335
H -0.39624 -1.51858 -4.27640
H 1.55974 -2.80490 -3.17903
H 1.36221 -1.35316 -2.22071
H 3.71050 -1.95319 -3.29843
H 3.13798 -0.27621 -3.26639
H 1.22244 -2.45766 -5.83758
H 1.18056 -0.69713 -6.34719
C -2.75328 -0.76975 -1.15326
C -4.00516 -1.61189 -0.95695
C -4.33265 -2.10647 -2.35650
O -3.47159 -1.32843 -3.20637
C -2.78014 -0.29586 -2.56655
H -1.85433 -1.38220 -1.08336
H -2.70355 0.09068 -0.48596
H -4.78525 -0.94786 -0.58460
H -3.86757 -2.36484 -0.18092
H -5.40663 -1.98659 -2.49899
H -4.17817 -3.18454 -2.40132
H -3.42309 0.58103 -2.64253
H -1.80900 -0.16986 -3.04520
C -2.81608 -4.46301 3.01214
C -3.40342 -3.07204 3.18446
C -2.20684 -2.17504 2.99294
O -1.07435 -2.99849 2.98365
C -1.37106 -4.32280 3.46906
H -2.75866 -4.76189 1.96549
H -3.38097 -5.23251 3.53833
H -3.73017 -2.87059 4.20463
H -4.19069 -2.85227 2.46334
H -2.23664 -1.36436 3.72094
H -2.36291 -1.72556 2.01227
H -1.21060 -4.39501 4.54477
H -0.72627 -5.06015 2.99089
C 1.00408 1.18622 4.85416
C 1.20075 2.55974 4.21260
C 0.26433 2.51692 2.96288
O -0.10816 1.15346 2.78243
C -0.11431 0.53127 4.04802
H 0.76517 1.41304 5.89318
H 1.87235 0.53247 4.77160
H 2.27586 2.67881 4.07819
H 0.76369 3.33358 4.84366
H 0.78150 2.90858 2.08697